Entries:
~~~
Entry 1:
{
  "formula": "GaAgO2",
  "functional": "r2SCAN",
  "state": "optimized geometry",
  "e_form_mev_per_atom": -1433.6,
  "e_tot_ev_per_atom": -12.620,
  "spacegroup": "P6_3/mmc",
  "rho_kg_m3": 7235,
  "cell": [[2.9906, 0.0000, 0.0000], [-1.4953, 2.5900, 0.0000], [0.0000, 0.0000, 12.4214]],
  "species": ["Ga", "Ga", "Ag", "Ag", "O", "O", "O", "O"],
  "fractional_positions": [[0.0000, 0.0000, 0.0000], [0.0000, 0.0000, 0.5000], [0.3333, 0.6667, 0.2500], [0.6667, 0.3333, 0.7500], [0.3333, 0.6667, 0.0810], [0.3333, 0.6667, 0.4190], [0.6667, 0.3333, 0.5810], [0.6667, 0.3333, 0.9190]]
}



Entry 2:
{
  "formula": "GaAgO2",
  "functional": "r2SCAN",
  "state": "optimized geometry",
  "e_form_mev_per_atom": -1433.6,
  "e_tot_ev_per_atom": -12.620,
  "spacegroup": "R-3m",
  "rho_kg_m3": 7226,
  "cell": [[2.9915, 0.0000, 0.0000], [-1.4958, 2.5907, 0.0000], [0.0000, 0.0000, 18.6435]],
  "species": ["Ga", "Ga", "Ga", "Ag", "Ag", "Ag", "O", "O", "O", "O", "O", "O"],
  "fractional_positions": [[0.0000, 0.0000, 0.0000], [0.3333, 0.6667, 0.6667], [0.6667, 0.3333, 0.3333], [0.0000, 0.0000, 0.5000], [0.3333, 0.6667, 0.1667], [0.6667, 0.3333, 0.8333], [0.0000, 0.0000, 0.3873], [0.0000, 0.0000, 0.6127], [0.3333, 0.6667, 0.0540], [0.3333, 0.6667, 0.2794], [0.6667, 0.3333, 0.7206], [0.6667, 0.3333, 0.9460]]
}



Entry 3:
{
  "formula": "Pm2GaAg",
  "functional": "r2SCAN",
  "state": "optimized geometry",
  "e_form_mev_per_atom": -479.0,
  "e_tot_ev_per_atom": -23.449,
  "spacegroup": "Fm-3m",
  "rho_kg_m3": 7696,
  "cell": [[7.3897, 0.0000, 0.0000], [0.0000, 7.3897, 0.0000], [0.0000, 0.0000, 7.3897]],
  "species": ["Pm", "Pm", "Pm", "Pm", "Pm", "Pm", "Pm", "Pm", "Ga", "Ga", "Ga", "Ga", "Ag", "Ag", "Ag", "Ag"],
  "fractional_positions": [[0.2500, 0.2500, 0.2500], [0.2500, 0.2500, 0.7500], [0.2500, 0.7500, 0.2500], [0.2500, 0.7500, 0.7500], [0.7500, 0.2500, 0.2500], [0.7500, 0.2500, 0.7500], [0.7500, 0.7500, 0.2500], [0.7500, 0.7500, 0.7500], [0.0000, 0.0000, 0.0000], [0.0000, 0.5000, 0.5000], [0.5000, 0.0000, 0.5000], [0.5000, 0.5000, 0.0000], [0.0000, 0.0000, 0.5000], [0.0000, 0.5000, 0.0000], [0.5000, 0.0000, 0.0000], [0.5000, 0.5000, 0.5000]]
}



Entry 4:
{
  "formula": "GaAgSe2",
  "functional": "r2SCAN",
  "state": "optimized geometry",
  "e_form_mev_per_atom": -540.0,
  "e_tot_ev_per_atom": -15.895,
  "spacegroup": "I-42d",
  "rho_kg_m3": 5607,
  "cell": [[5.9847, 0.0000, 0.0000], [0.0000, 5.9847, 0.0000], [0.0000, 0.0000, 11.0977]],
  "species": ["Ga", "Ga", "Ga", "Ga", "Ag", "Ag", "Ag", "Ag", "Se", "Se", "Se", "Se", "Se", "Se", "Se", "Se"],
  "fractional_positions": [[0.0000, 0.0000, 0.0000], [0.0000, 0.5000, 0.2500], [0.5000, 0.0000, 0.7500], [0.5000, 0.5000, 0.5000], [0.0000, 0.0000, 0.5000], [0.0000, 0.5000, 0.7500], [0.5000, 0.0000, 0.2500], [0.5000, 0.5000, 0.0000], [0.2184, 0.7500, 0.1250], [0.2500, 0.2184, 0.8750], [0.2500, 0.2816, 0.3750], [0.2816, 0.7500, 0.6250], [0.7184, 0.2500, 0.6250], [0.7500, 0.7184, 0.3750], [0.7500, 0.7816, 0.8750], [0.7816, 0.2500, 0.1250]]
}

=====

1.
DFT (PBE) results for a geometry-optimized Pm3Y structure.

```
data_Pm3Y
_chemical_formula_sum 'Pm6 Y2'
_cell_length_a 7.3286
_cell_length_b 7.3286
_cell_length_c 5.9283
_cell_angle_alpha 90.00
_cell_angle_beta 90.00
_cell_angle_gamma 120.00
_space_group_name_H-M_alt 'P 63/m m c'
_space_group_IT_number 194
_space_group_name_Hall '-P 6c 2c'
loop_
_atom_site_label
_atom_site_type_symbol
_atom_site_fract_x
_atom_site_fract_y
_atom_site_fract_z
_atom_site_occupancy
Pm1 Pm 0.1668 0.3337 0.2500 1
Y1 Y 0.3333 0.6667 0.7500 1
```

Values from the calculation:
For the volume, the calculation gives 34.5 A^3/atom.

---

2.
DFT (PBE) results for a geometry-optimized Pm3Y structure.

```
data_Pm3Y
_chemical_formula_sum 'Pm3 Y1'
_cell_length_a 5.140
_cell_length_b 5.140
_cell_length_c 5.140
_cell_angle_alpha 90.00
_cell_angle_beta 90.00
_cell_angle_gamma 90.00
_space_group_name_H-M_alt 'P m -3 m'
_space_group_IT_number 221
_space_group_name_Hall '-P 4 2 3'
~~~
Job:
Now restate the whole of the entries earlier on verbatim.
Completed:
Entry 1:
{
  "formula": "GaAgO2",
  "functional": "r2SCAN",
  "state": "optimized geometry",
  "e_form_mev_per_atom": -1433.6,
  "e_tot_ev_per_atom": -12.620,
  "spacegroup": "P6_3/mmc",
  "rho_kg_m3": 7235,
  "cell": [[2.9906, 0.0000, 0.0000], [-1.4953, 2.5900, 0.0000], [0.0000, 0.0000, 12.4214]],
  "species": ["Ga", "Ga", "Ag", "Ag", "O", "O", "O", "O"],
  "fractional_positions": [[0.0000, 0.0000, 0.0000], [0.0000, 0.0000, 0.5000], [0.3333, 0.6667, 0.2500], [0.6667, 0.3333, 0.7500], [0.3333, 0.6667, 0.0810], [0.3333, 0.6667, 0.4190], [0.6667, 0.3333, 0.5810], [0.6667, 0.3333, 0.9190]]
}



Entry 2:
{
  "formula": "GaAgO2",
  "functional": "r2SCAN",
  "state": "optimized geometry",
  "e_form_mev_per_atom": -1433.6,
  "e_tot_ev_per_atom": -12.620,
  "spacegroup": "R-3m",
  "rho_kg_m3": 7226,
  "cell": [[2.9915, 0.0000, 0.0000], [-1.4958, 2.5907, 0.0000], [0.0000, 0.0000, 18.6435]],
  "species": ["Ga", "Ga", "Ga", "Ag", "Ag", "Ag", "O", "O", "O", "O", "O", "O"],
  "fractional_positions": [[0.0000, 0.0000, 0.0000], [0.3333, 0.6667, 0.6667], [0.6667, 0.3333, 0.3333], [0.0000, 0.0000, 0.5000], [0.3333, 0.6667, 0.1667], [0.6667, 0.3333, 0.8333], [0.0000, 0.0000, 0.3873], [0.0000, 0.0000, 0.6127], [0.3333, 0.6667, 0.0540], [0.3333, 0.6667, 0.2794], [0.6667, 0.3333, 0.7206], [0.6667, 0.3333, 0.9460]]
}



Entry 3:
{
  "formula": "Pm2GaAg",
  "functional": "r2SCAN",
  "state": "optimized geometry",
  "e_form_mev_per_atom": -479.0,
  "e_tot_ev_per_atom": -23.449,
  "spacegroup": "Fm-3m",
  "rho_kg_m3": 7696,
  "cell": [[7.3897, 0.0000, 0.0000], [0.0000, 7.3897, 0.0000], [0.0000, 0.0000, 7.3897]],
  "species": ["Pm", "Pm", "Pm", "Pm", "Pm", "Pm", "Pm", "Pm", "Ga", "Ga", "Ga", "Ga", "Ag", "Ag", "Ag", "Ag"],
  "fractional_positions": [[0.2500, 0.2500, 0.2500], [0.2500, 0.2500, 0.7500], [0.2500, 0.7500, 0.2500], [0.2500, 0.7500, 0.7500], [0.7500, 0.2500, 0.2500], [0.7500, 0.2500, 0.7500], [0.7500, 0.7500, 0.2500], [0.7500, 0.7500, 0.7500], [0.0000, 0.0000, 0.0000], [0.0000, 0.5000, 0.5000], [0.5000, 0.0000, 0.5000], [0.5000, 0.5000, 0.0000], [0.0000, 0.0000, 0.5000], [0.0000, 0.5000, 0.0000], [0.5000, 0.0000, 0.0000], [0.5000, 0.5000, 0.5000]]
}



Entry 4:
{
  "formula": "GaAgSe2",
  "functional": "r2SCAN",
  "state": "optimized geometry",
  "e_form_mev_per_atom": -540.0,
  "e_tot_ev_per_atom": -15.895,
  "spacegroup": "I-42d",
  "rho_kg_m3": 5607,
  "cell": [[5.9847, 0.0000, 0.0000], [0.0000, 5.9847, 0.0000], [0.0000, 0.0000, 11.0977]],
  "species": ["Ga", "Ga", "Ga", "Ga", "Ag", "Ag", "Ag", "Ag", "Se", "Se", "Se", "Se", "Se", "Se", "Se", "Se"],
  "fractional_positions": [[0.0000, 0.0000, 0.0000], [0.0000, 0.5000, 0.2500], [0.5000, 0.0000, 0.7500], [0.5000, 0.5000, 0.5000], [0.0000, 0.0000, 0.5000], [0.0000, 0.5000, 0.7500], [0.5000, 0.0000, 0.2500], [0.5000, 0.5000, 0.0000], [0.2184, 0.7500, 0.1250], [0.2500, 0.2184, 0.8750], [0.2500, 0.2816, 0.3750], [0.2816, 0.7500, 0.6250], [0.7184, 0.2500, 0.6250], [0.7500, 0.7184, 0.3750], [0.7500, 0.7816, 0.8750], [0.7816, 0.2500, 0.1250]]
}

=====

1.
DFT (PBE) results for a geometry-optimized Pm3Y structure.

```
data_Pm3Y
_chemical_formula_sum 'Pm6 Y2'
_cell_length_a 7.3286
_cell_length_b 7.3286
_cell_length_c 5.9283
_cell_angle_alpha 90.00
_cell_angle_beta 90.00
_cell_angle_gamma 120.00
_space_group_name_H-M_alt 'P 63/m m c'
_space_group_IT_number 194
_space_group_name_Hall '-P 6c 2c'
loop_
_atom_site_label
_atom_site_type_symbol
_atom_site_fract_x
_atom_site_fract_y
_atom_site_fract_z
_atom_site_occupancy
Pm1 Pm 0.1668 0.3337 0.2500 1
Y1 Y 0.3333 0.6667 0.7500 1
```

Values from the calculation:
For the volume, the calculation gives 34.5 A^3/atom.

---

2.
DFT (PBE) results for a geometry-optimized Pm3Y structure.

```
data_Pm3Y
_chemical_formula_sum 'Pm3 Y1'
_cell_length_a 5.140
_cell_length_b 5.140
_cell_length_c 5.140
_cell_angle_alpha 90.00
_cell_angle_beta 90.00
_cell_angle_gamma 90.00
_space_group_name_H-M_alt 'P m -3 m'
_space_group_IT_number 221
_space_group_name_Hall '-P 4 2 3'